Ukrainian Heritage Children’s Program

Korinnya is a Bilingual program for babies, infants and toddlers

## Attached: quantum chemistry results
<<<
Record 1
DFT (wB97M-V/def2-TZVPD) results for a molecular structure, C15H12CuF3N3O13.

XYZ file:
```
47
Properties=species:S:1:pos:R:3
C -1.31636 -3.50430 2.25347
H 3.14310 1.26633 -2.36915
H -2.34088 1.67646 -1.25508
H -0.35276 -1.53864 -2.20459
H 6.34703 0.32379 -5.04946
C -0.35854 1.28775 -2.67743
H -0.74955 2.10717 -3.30714
C 4.72324 0.93444 -3.78876
Cu 0.30367 -0.24926 -0.01288
C 3.69397 0.53313 -2.94065
C -1.26619 0.06296 -2.86303
O -2.03268 -2.88669 0.09403
H 3.97198 -2.81354 -3.36616
F -2.19613 -2.86661 3.05757
O -0.02973 -2.09737 0.85450
H -1.10620 -0.32297 -3.87789
O 1.85971 -0.63758 -1.06332
O -2.55234 2.02291 1.47101
O 2.76856 3.05319 0.27705
C 5.29330 -1.33550 -4.18848
N 6.15666 -2.31371 -4.81465
O 1.60803 1.19060 0.78004
F -0.19184 -3.67908 2.97652
O -1.05528 -0.93322 -1.89970
N -0.24161 1.68920 -1.28286
C -1.11819 -2.72779 0.88139
H 0.44130 3.59639 -0.68639
C 3.39450 -0.81690 -2.82344
O 1.36176 -1.98110 -2.82034
C 1.84789 2.23846 0.12811
O 6.99858 -1.92422 -5.60589
H -2.31719 0.35420 -2.78495
N 4.89465 2.34007 -4.09599
C -1.51032 2.06643 -0.66618
H 1.43428 2.81984 -1.90652
C 5.54482 0.00861 -4.40112
C 4.19314 -1.75950 -3.44672
O 3.97531 3.08879 -3.84412
C 2.06993 -1.20186 -2.16783
O 5.94037 2.69392 -4.61533
O -1.08045 0.40678 1.02316
F -1.82598 -4.74959 2.05192
O 6.00705 -3.48414 -4.52256
H -1.62207 3.15410 -0.61472
C -1.72905 1.46981 0.74351
H 0.63810 1.03697 -3.04299
C 0.83422 2.62816 -1.01466
```

Values from the calculation:
Maximum force (eV/Å): 1.153
Charge: -2
Spin multiplicity: 2
Expectation value of S²: 0.7518
Orbital gap (spin up / spin down) (eV): 5.9 / 5.9

Results of the Löwdin charge analysis, in e, for atoms 1 through 6: atom 1 (C): -0.52, atom 2 (H): 0.13, atom 3 (H): 0.11, atom 4 (H): 0.06, atom 5 (H): 0.13, atom 6 (C): -0.17


Record 2
DFT (wB97M-V/def2-TZVPD) results for a molecular structure, C17H29HgN3O4PS.

XYZ file:
```
56
Properties=species:S:1:pos:R:3
C 0.00690 -4.04870 2.73390
Hg -0.41640 -0.16580 -0.26550
H -3.42290 -3.31960 -0.54370
O -1.91240 0.55050 -3.19550
H -4.80830 -1.05330 2.38470
H -1.36200 -4.14140 -1.49790
H -2.14820 -4.31130 2.77110
H -1.06140 1.84530 -2.23320
H 0.18850 2.83850 -1.71980
H -1.55420 -2.74540 3.37550
C -2.91450 -1.42470 1.43370
H 0.68370 -3.20870 2.59710
H -4.74880 -2.57390 1.49720
H -2.50000 -5.50550 -1.38740
C 1.69710 -0.36700 -3.01370
C -1.45550 2.90220 -0.49200
C 2.83890 0.37610 -1.03830
H -3.33800 -4.50270 0.79010
H 1.26840 -0.16430 -3.98570
H 0.98270 -3.26590 -0.06930
H 1.06620 -2.41380 -3.01670
H 0.21110 -4.79860 1.96910
N -0.64630 1.47480 1.24550
C 0.57260 -0.19490 2.67970
N -1.30530 -1.42240 -1.56520
C -2.74940 -3.90860 0.08160
H 2.72470 -3.53470 0.08110
C 2.12020 -1.92220 -1.20980
H 2.40430 1.63660 -2.72270
H -1.53380 3.98530 -0.68690
O 1.08890 -0.44930 3.77450
H 3.30000 1.17000 -0.46680
C 2.32170 0.64120 -2.30300
H -3.93530 -2.43130 3.05910
O 0.54540 -0.98300 1.69720
H -1.16790 -5.35360 -0.22370
C -0.09150 1.20030 2.54420
P -1.62550 -2.67090 0.93470
>>>

and their guardians or caregivers.

Follow us @korinya


Youth Group

Young Adults

Altar Servers

Вівтарна Дружина Запрошуємо дітей (хлопців та дівчат 3-го класу і вище) служити біля вівтаря під час недільної Літургії. Просимо прийти до захристії за 15 хвилин до початку Літургії.

Altar Servers Boys and girls (grades 3 and up) who have completed classes for First Confession & Holy Communion, are welcomed to join the guild of altar servers.

You are welcome to serve at the altar during Sunday Liturgy.

(Only 8 servers max per Liturgy; arrive early.)


 be at church 15 mins. before the start of Liturgy.

 be on your best behaviour.

 dress appropriately.

Training will be provided by the senior servers. The clergy

greatly appreciate your assistance at the Divine Liturgy.

Men’s Club

The St. Joseph’s Men’s Club is a social club of St. Joseph’s Ukrainian Catholic Church.

The objectives of the  club are generally as follows:

........
DFT (the ωB97M-V functional and the def2-TZVPD basis) results for a 11-piece molecular cluster, C62H141N7O11 overall in a non-equilibrium geometry.

Cartesian coordinates (Å):
1 C 10.8335 -2.6916 -4.2917
2 C 9.5690 -3.2073 -5.0246
3 C 8.9616 -2.0095 -5.8274
4 C 10.1862 -4.2213 -5.9901
5 C 9.1623 -5.2304 -6.6098
6 C 8.3152 -5.9205 -5.5050
7 C 7.6587 -4.8972 -4.4322
8 C 6.4121 -4.2513 -5.0915
9 C 7.3094 -5.7639 -3.1884
10 N 8.6917 -3.8995 -4.0359
11 O 8.2500 -2.9818 -2.9841
12 H 11.1437 -3.4490 -3.5718
13 H 11.7002 -2.6579 -4.9518
14 H 10.6740 -1.7342 -3.7958
15 H 8.1389 -1.5571 -5.2735
16 H 9.7132 -1.2416 -6.0103
17 H 8.5598 -2.3232 -6.7908
18 H 10.7854 -3.8232 -6.8090
19 H 10.9382 -4.7996 -5.4533
20 H 8.4415 -4.7351 -7.2603
21 H 9.7091 -5.9543 -7.2140
22 H 9.0111 -6.5470 -4.9471
23 H 7.5239 -6.5355 -5.9336
24 H 6.8107 -3.6564 -5.9133
25 H 5.8727 -3.6375 -4.3702
26 H 5.7051 -4.9547 -5.5314
27 H 8.0157 -6.5545 -2.9349
28 H 6.3016 -6.1719 -3.2662
29 H 7.2049 -5.2005 -2.2612
30 H 9.0318 -2.8917 -2.4343
31 C 3.8410 -5.9508 2.3289
32 C 3.7743 -4.4193 2.1820
33 C 2.2584 -4.0666 2.0709
34 C 4.2394 -3.8377 3.5133
35 C 5.7471 -3.8055 3.7092
36 C 6.4285 -3.1249 2.5519
37 C 6.0616 -3.8115 1.1878
38 C 6.5742 -2.9064 0.1212
39 C 6.8381 -5.1147 1.0224
40 N 4.5721 -3.8428 1.0717
41 O 4.1564 -4.3373 -0.1564
42 H 3.1057 -6.2784 3.0638
43 H 3.5373 -6.3957 1.3812
44 H 4.8126 -6.3898 2.5554
45 H 1.8549 -4.5381 1.1748
46 H 1.6414 -4.3203 2.9329
47 H 2.0475 -3.0156 1.8736
48 H 3.8164 -2.8411 3.6401
49 H 3.9127 -4.4023 4.3866
50 H 5.8665 -3.1526 4.5738
51 H 6.1318 -4.8062 3.9059
52 H 7.4894 -3.1486 2.8010
53 H 6.0956 -2.0870 2.5431
54 H 6.2859 -3.3361 -0.8382
55 H 7.6528 -2.7517 0.1474
56 H 6.1927 -1.8855 0.1082
57 H 7.0807 -5.6062 1.9646
58 H 7.8299 -4.8609 0.6482
59 H 6.3879 -5.8164 0.3202
60 H 3.8695 -3.5350 -0.5987
61 C 12.6744 3.0990 -5.3279
62 C 11.7928 1.8158 -5.1998
63 C 11.5569 1.4901 -3.7084
64 C 10.3445 2.2733 -5.6881
65 C 10.1839 2.2307 -7.1889
66 C 10.5821 0.8988 -7.8001
67 C 12.0512 0.4291 -7.4988
68 C 12.1234 -1.0978 -7.8796
69 C 12.9857 1.2485 -8.3539
70 N 12.3193 0.6480 -6.0219
71 O 13.5845 0.2119 -5.6051
72 H 13.5790 2.9830 -4.7310
73 H 12.8951 3.3919 -6.3544
74 H 12.2617 4.0248 -4.9271
75 H 10.9305 0.5980 -3.7035
76 H 12.4589 1.0644 -3.2687
77 H 11.0343 2.1975 -3.0645
78 H 9.4795 1.6788 -5.3943
79 H 10.0899 3.2762 -5.3453
80 H 9.1681 2.5585 -7.4098
81 H 10.7891 3.0302 -7.6164
82 H 10.4329 1.1008 -8.8607
83 H 9.8074 0.1875 -7.5140
84 H 12.0486 -1.2121 -8.9610
85 H 11.3429 -1.7647 -7.5134
86 H 13.0978 -1.4769 -7.5715
87 H 12.8582 2.3063 -8.1238
88 H 12.7687 1.2821 -9.4216
89 H 14.0105 0.8984 -8.2302
90 H 14.1284 0.9802 -5.7932
91 C 9.1669 5.5134 1.3022
92 C 8.7548 4.4867 0.1880
93 C 7.8833 5.1630 -0.8328
94 C 10.0739 4.1571 -0.5575
95 C 10.9481 3.1415 0.2912
96 C 10.1815 1.8851 0.6298
97 C 8.8385 2.2562 1.3860
98 C 8.0575 0.9322 1.4203
99 C 9.2540 2.6834 2.8444
100 N 8.1322 3.2685 0.6889
101 O 6.7990 3.4507 1.1345
102 H 8.2771 5.6136 1.9237
........
== So much for the calculated molecules ==

1.  To act as a social club;

2.  To arrange social activities for Club members, family members and other members of the Church;

3.  To promote social unity amongst its members and the Church;

4.  To inaugurate and take part in activities for the benefit of the Church and its affiliated organizations and the community other than activities that deal with politics;

5.  To assist any way deemed proper by the Club in the social or public activities of the Church;

6.  To participate in any activity that will reflect credibly on the Church, its clergy, the Laity and the Club;

7.  To engage in fundraising activities to benefit the Church and/or other causes identified by the Club from time to time, but in no way taking the place of official fundraising committee of the Church;

8.  To engage in such other activities to benefit the Club which may from time to time, deem beneficial to its members and the community at large;

9.  To encourage members to join the Church and/or candidates to join the Club.  

Membership is open to members of the church or others and as follows:

1.   Males nineteen (19) years of age or older;

2.   Good Christian and of good character;

3.   Fully completed membership application form.

The club generally meets the 2nd Wednesday of the month from September to June at 7:30 pm in the Cultural Centre.

New members are always welcome. For more information email us at  

St. Joseph's Men's Club Facebook Page